Increased popularity and use of Qt has led to increased business opportunities. Nokia acquired Qt in 2008 and has over 250 employees working on Qt across 8 locations worldwide. Qt is a widely used application framework trusted by tens of thousands of customers. Nokia's investment in Qt aims to build the Qt community and provide benefits like faster development times and better products and services for both Nokia and Qt users.
Tobias Oetiker: RRDtool - how to make it sit up and begFriprogsenteret
RRDtool is a database designed for storing and displaying time-series data such as network bandwidth, temperatures, or stock prices. It uses approximations and controlled memory loss to store data efficiently while allowing for quick setup and use with included graphics capabilities. The document discusses various performance improvements that can be made to RRDtool such as disk striping, tmpfs storage, optimizing buffer cache usage through fadvise and madvise calls, and implementing an RRD cache daemon to batch updates. New features in recent versions include improved graphics, integration with other databases, predictive functions, and remote graphing through the cache daemon.
Foredrag p奪 Software 2012 om hvordan fri programvare og 奪pne data er en sterk kombinasjon for innovasjon, raskere leveranser, bedre kvalitet og rimeligere l淡sninger.
The Norwegian approach to open source in the public sectorFriprogsenteret
The Norwegian approach document summarizes the status quo of software development across Norwegian municipalities, counties, and public offices. It describes how each office developed software independently, resulting in increased costs, bureaucracy, and reduced quality. It then outlines goals of the Norwegian Open Source Competence Center to reduce these issues by promoting collaboration, knowledge sharing, and reuse of open source software, data, and solutions across public offices. This is aimed to provide benefits like reduced costs, increased quality, and knowledge.
BBS has identified extensive use of open source over the last 5 years through field studies and project data collection. Open source is now a vital part of BBS's business applications and infrastructure. It is used across divisions in development, deployment, testing, and production. BBS utilizes a variety of open source utilities and platforms, including Linux, Solaris, Apache, NFS, and Postfix, benefiting from increased stability, security, and cost savings compared to proprietary alternatives.
Fri programvare og utfordringer i anskaffelsesprosessenFriprogsenteret
Hvilke utfordringer m淡ter offentlig sektor n奪r de anskaffer programvare generelt og fri programvare spesielt? I denne presentasjonen har vi fokus p奪 utfordringene offentlig sektor presenterer for Friprogsenteret, relatert til anskaffelser av fri programvare.
The document discusses the author's experience with open source software development and its interaction with institutional contexts in research and higher education. The author has a long history developing open source software for applied statistics and geospatial applications using R. He notes a mismatch between institutional preferences for secrecy and open source practices of mutual trust and community-building. The author was an early contributor to the R project in 1997 and discusses the evolution of R from its beginnings as an academic initiative to the large open source community that exists today.
1. The document discusses cross-disciplinary challenges in open source software (OSS). It provides background on the IDI Department at NTNU, which conducts research related to OSS.
2. Traditional software reuse within companies is compared to the OSS phenomenon, which enables distributed and cooperative innovation on a global scale. Selection of OSS components and classification schemes are challenging due to the diversity of projects and lack of standardized information.
3. Effective use of OSS requires new models for cooperation between organizations in software development. The linear development model is being replaced by a more networked model with interdependent projects and components.
1)'s policy is that all data and software produced by the institute should be freely available to the public.
2) Diana is an open source digital analysis application originally developed by in 1998 to visualize and edit meteorological data for forecasters.
3) Releasing Diana as open source software allowed other interested organizations to use, develop, and distribute the code at no cost, while maintained the project and incorporated feedback to improve the software over time.
The document discusses the debate around proprietary versus open source software in the public sector. It outlines that information and communication technologies (ICT) have become increasingly important for public services but also present political questions around control and development paths. The document argues for an interdisciplinary research approach to explore these issues more fully, drawing on different academic fields. It notes ICT has transitioned from being an outsourced activity to a core function and discusses how political regimes of New Public Management versus Digital Era Governance approach ICT development differently.
This document discusses Avis Car Rental's implementation of SugarCRM. It describes how SugarCRM provides Avis with a 360-degree view of customers by automatically populating customer information across modules. It also explains how Avis utilizes SugarCRM tools to strengthen its customer lifecycle, including modules for marketing, sales, rentals, loyalty programs, and customer service. Finally, it provides examples of how Avis uses SugarCRM for email marketing, SMS marketing, and enhanced internal communication.
NASDAQ OMX Commodities implemented a SOA architecture using JBoss SOA to replace aging systems. The project took longer than expected and encountered more problems than anticipated. While the SOA approach simplified adding and removing services, clustering proved challenging. NASDAQ OMX Commodities is now working on new projects like connecting to emission registries and power market news using the JBoss SOA platform.
Foredrag p奪 Software 2012 om hvordan fri programvare og 奪pne data er en sterk kombinasjon for innovasjon, raskere leveranser, bedre kvalitet og rimeligere l淡sninger.
The Norwegian approach to open source in the public sectorFriprogsenteret
The Norwegian approach document summarizes the status quo of software development across Norwegian municipalities, counties, and public offices. It describes how each office developed software independently, resulting in increased costs, bureaucracy, and reduced quality. It then outlines goals of the Norwegian Open Source Competence Center to reduce these issues by promoting collaboration, knowledge sharing, and reuse of open source software, data, and solutions across public offices. This is aimed to provide benefits like reduced costs, increased quality, and knowledge.
BBS has identified extensive use of open source over the last 5 years through field studies and project data collection. Open source is now a vital part of BBS's business applications and infrastructure. It is used across divisions in development, deployment, testing, and production. BBS utilizes a variety of open source utilities and platforms, including Linux, Solaris, Apache, NFS, and Postfix, benefiting from increased stability, security, and cost savings compared to proprietary alternatives.
Fri programvare og utfordringer i anskaffelsesprosessenFriprogsenteret
Hvilke utfordringer m淡ter offentlig sektor n奪r de anskaffer programvare generelt og fri programvare spesielt? I denne presentasjonen har vi fokus p奪 utfordringene offentlig sektor presenterer for Friprogsenteret, relatert til anskaffelser av fri programvare.
Next to the article, the page also holds molecular data:
C22H33MnN6O3SSi | the ωB97M-V functional and the def2-TZVPD basis

Properties
total charge: +2
relative energy (zero: lowest compared OMol25 entry of this formula, charge and spin): 0.0000 eV
M: 544.636 g mol⁻¹
LUMO energy (spin up / spin down): -6.17 / -5.42 eV
Kohn-Sham gap (spin up / spin down): 0.286 / 0.313 hartree
multiplicity: 5

Atoms and positions in Å:
Mn1 0.42664 -0.24633 0.83088
N1 1.95844 -0.91345 4.55051
C1 0.66432 -0.88117 5.02263
C2 -0.13200 -0.67881 3.94125
N2 0.66480 -0.58786 2.82869
C3 1.91735 -0.73191 3.22116
C4 2.97657 -0.66871 2.22929
N3 2.66505 -0.45194 0.96418
C5 3.85321 -0.43577 0.27642
C6 4.88254 -0.64576 1.13985
N4 4.30854 -0.79087 2.37950
H1 2.77754 -1.03948 5.12221
H2 0.43474 -0.99712 6.06642
H3 -1.20109 -0.57617 3.88909
H4 3.90527 -0.28106 -0.78707
H5 5.94572 -0.70504 0.99065
H6 4.81338 -0.95890 3.23444
N5 -0.93381 0.87858 -3.80369
C7 0.46047 1.27411 -3.40011
C8 0.58129 1.19456 -1.88785
N6 0.24146 -0.13311 -1.34746
C9 -1.10868 -0.54667 -1.79542
C10 -1.26266 -0.50520 -3.30237
H7 -1.03583 0.92269 -4.81924
H8 -1.60268 1.54781 -3.41200
H9 0.64399 2.28700 -3.75418
H10 1.13633 0.58987 -3.91337
H11 -0.08827 1.92240 -1.42576
H12 1.59344 1.46709 -1.59168
H13 0.91672 -0.83081 -1.65904
H14 -1.82800 0.11246 -1.30620
H15 -1.29633 -1.55858 -1.44023
H16 -2.28325 -0.73966 -3.59871
H17 -0.58092 -1.18641 -3.81231
C11 -1.75678 -5.57952 1.63591
Si1 -0.64310 -5.11166 0.22576
C12 0.96000 -6.05190 0.24246
C13 -1.51109 -5.25408 -1.41910
C14 -0.22373 -3.29972 0.43417
C15 0.03063 -2.11736 0.58699
H18 -2.04771 -6.62912 1.55946
H19 -2.66712 -4.97803 1.63754
H20 -1.25601 -5.44071 2.59534
H21 0.77181 -7.11983 0.11415
H22 1.48349 -5.91786 1.19043
H23 1.62308 -5.73051 -0.56236
H24 -1.79127 -6.29096 -1.61510
H25 -0.86746 -4.92799 -2.23903
H26 -2.42682 -4.65909 -1.43212
C16 -1.94983 7.18358 -1.59105
C17 -1.64954 5.89469 -0.88172
C18 -2.64912 5.19644 -0.20481
C19 -2.36742 4.03121 0.48752
C20 -1.06538 3.54476 0.48826
C21 -0.04745 4.22184 -0.17289
C22 -0.34922 5.39000 -0.85433
S1 -0.74432 2.08956 1.40825
O1 -1.04677 2.31421 2.78140
O2 -1.47618 0.94952 0.78058
O3 0.70253 1.72209 1.12420
H27 -3.01945 7.37788 -1.63072
H28 -1.56231 7.17279 -2.61011
H29 -1.47559 8.01879 -1.07338
H30 -3.65999 5.58373 -0.20238
H31 -3.14692 3.51385 1.03242
H32 0.97074 3.86009 -0.11692
H33 0.44399 5.93756 -1.34926

Atoms 1-6, force components in eV/Å:
0.0 -0.1 -0.2
0.0 0.0 0.0
0.0 0.0 0.0
0.0 0.0 0.0
0.0 0.0 0.0
0.0 0.0 0.0

* * * * *

The following is a DFT calculation (ωB97M-V with the def2-TZVPD basis set) of a structure of composition C17H34CoN4OPS3Sb.

## Properties
DFT total energy ... -112152.0811 eV
Energy relative to the best compared isomer or geometry (same formula, charge and spin) ... 0.1990 eV
⟨S²⟩ ... 2.481

Geometry as ORCA input:
```
! RIJCOSX wB97M-V def2-TZVPD def2/J DEFGRID3
* xyz -1 3
Co -0.856 -2.342 0.398
S -0.334 -6.271 1.739
Sb -2.319 -5.154 1.517
S -1.875 -2.827 2.256
S -2.072 -3.941 -0.637
C 1.899 0.646 -0.216
C 0.768 1.597 -0.660
C 1.234 3.042 -0.464
The document discusses the author's experience with open source software development and its interaction with institutional contexts in research and higher education. The author has a long history developing open source software for applied statistics and geospatial applications using R. He notes a mismatch between institutional preferences for secrecy and open source practices of mutual trust and community-building. The author was an early contributor to the R project in 1997 and discusses the evolution of R from its beginnings as an academic initiative to the large open source community that exists today.
1. The document discusses cross-disciplinary challenges in open source software (OSS). It provides background on the IDI Department at NTNU, which conducts research related to OSS.
2. Traditional software reuse within companies is compared to the OSS phenomenon, which enables distributed and cooperative innovation on a global scale. Selection of OSS components and classification schemes are challenging due to the diversity of projects and lack of standardized information.
3. Effective use of OSS requires new models for cooperation between organizations in software development. The linear development model is being replaced by a more networked model with interdependent projects and components.
1)'s policy is that all data and software produced by the institute should be freely available to the public.
2) Diana is an open source digital analysis application originally developed by in 1998 to visualize and edit meteorological data for forecasters.
3) Releasing Diana as open source software allowed other interested organizations to use, develop, and distribute the code at no cost, while maintained the project and incorporated feedback to improve the software over time.
The document discusses the debate around proprietary versus open source software in the public sector. It outlines that information and communication technologies (ICT) have become increasingly important for public services but also present political questions around control and development paths. The document argues for an interdisciplinary research approach to explore these issues more fully, drawing on different academic fields. It notes ICT has transitioned from being an outsourced activity to a core function and discusses how political regimes of New Public Management versus Digital Era Governance approach ICT development differently.
This document discusses Avis Car Rental's implementation of SugarCRM. It describes how SugarCRM provides Avis with a 360-degree view of customers by automatically populating customer information across modules. It also explains how Avis utilizes SugarCRM tools to strengthen its customer lifecycle, including modules for marketing, sales, rentals, loyalty programs, and customer service. Finally, it provides examples of how Avis uses SugarCRM for email marketing, SMS marketing, and enhanced internal communication.
NASDAQ OMX Commodities implemented a SOA architecture using JBoss SOA to replace aging systems. The project took longer than expected and encountered more problems than anticipated. While the SOA approach simplified adding and removing services, clustering proved challenging. NASDAQ OMX Commodities is now working on new projects like connecting to emission registries and power market news using the JBoss SOA platform.
1. penhet i demokratiets navn
GoOpen 19042010
Klikk for 奪 redigere undertittelstil i malen
Christian Bull, Sikkerhetsansvarlig
Henrik Nore, prosjektleder
2. Hva skal vi snakke om
Om e-valg 2011 prosjektet (Henrik)
Hvorfor er 奪pen kildekode viktig
== These molecular data were left in the article by mistake ==
********
# 1
45
Properties=species:S:1:pos:R:3:nbo_charge:R:1 method="wB97M-V/def2-TZVPD" multiplicity=1 e_above_lowest_kcal_mol=345.7 lumo_ev=0.281 homo_ha=-0.3367 orbital_gap_ev=9.4 energy_ha=-960.35717
C 2.297 2.024 -1.450 -0.3029
O 1.574 3.152 -0.947 -0.7206
H 1.498 1.283 -1.424 0.1918
H 2.580 2.095 -2.501 0.2059
H 3.215 1.747 -0.932 0.2023
H 2.169 3.906 -0.951 0.4988
C 0.004 2.379 1.226 -0.3024
O 0.556 1.477 0.299 -0.7122
H -1.075 2.529 1.211 0.2096
H 0.159 2.111 2.271 0.2277
H 0.476 3.337 1.007 0.2055
H 1.132 1.891 -0.348 0.5161
C -1.878 -2.489 -0.347 -0.3000
O -2.127 -1.631 0.803 -0.7829
H -0.962 -3.080 -0.345 0.1993
H -2.716 -3.115 -0.653 0.1627
H -1.600 -1.843 -1.180 0.2046
H -1.897 -1.942 1.682 0.4974
C -0.902 -0.380 2.245 -0.2679
O -0.479 -0.305 3.575 -0.7340
H -1.985 -0.465 2.158 0.1523
H -0.639 0.471 1.618 0.1604
H -0.530 -1.274 1.744 0.2024
H -1.055 -0.806 4.157 0.4647
C 1.007 -1.769 -2.444 -0.2522
O -0.060 -1.369 -1.673 -0.8183
H 1.955 -1.311 -2.162 0.1412
H 1.203 -2.841 -2.440 0.1562
H 0.783 -1.337 -3.420 0.1764
H 0.300 -0.974 -0.875 0.4317
O 1.940 0.291 1.931 -0.9523
H 1.505 -0.469 1.546 0.4818
H 1.670 1.027 1.382 0.4422
O 0.681 -2.437 1.060 -0.9834
H 0.586 -1.762 0.389 0.4627
H 1.150 -3.147 0.622 0.4657
O 0.444 -0.451 -0.012 -0.9914
H 0.690 0.437 0.250 0.4664
H -0.480 -0.384 -0.249 0.5707
O -2.111 0.399 -0.542 -0.9497
H -2.205 -0.373 -1.099 0.4887
H -2.940 0.455 -0.067 0.5000
O -1.229 2.012 -1.820 -0.9517
H -0.692 1.436 -1.276 0.4600
H -2.010 1.495 -2.019 0.4768


# 2
28
Properties=species:S:1:pos:R:3:nbo_charge:R:1 method="wB97M-V/def2-TZVPD" multiplicity=1 e_above_lowest_kcal_mol=112.1 lumo_ev="-0.153 / -0.153" homo_ha="-0.2878 / -0.2878" orbital_gap_ev="7.7 / 7.7" energy_ha=-1086.62356
C -4.210 0.365 0.602 -0.8816
C 2.499 1.345 0.934 -0.6422
C 1.401 1.031 -1.319 -0.6626
C 1.626 -1.580 0.775 -0.6571
C -0.606 -1.318 -1.454 -0.7573
C 1.179 0.981 0.166 0.3346
C 0.537 -0.380 0.679 0.2989
C -0.746 -0.883 -0.081 0.2552
O -2.605 1.113 -1.199 -0.9469
F 0.338 2.002 0.435 -0.3649
F 0.047 -0.131 1.952 -0.3625
F -1.219 -1.916 0.693 -0.3727
S -2.604 0.501 0.051 1.4651
H -5.052 0.174 -0.026 0.2270
H -4.372 -0.096 1.554 0.2134
H 3.286 0.937 0.458 0.2080
H 2.417 1.220 2.016 0.2252
H 2.733 2.383 0.781 0.2261
H 0.363 1.056 -1.778 0.2311
H 1.780 0.079 -1.569 0.2110
H 1.825 1.956 -1.826 0.2438
H 1.055 -2.241 1.409 0.2386
H 1.816 -2.176 -0.092 0.2252
H 2.482 -1.286 1.301 0.2259
H -1.012 -2.425 -1.581 0.2523
H -1.258 -0.604 -2.011 0.2648
H 0.373 -1.326 -2.064 0.2380
H -2.074 1.217 1.196 0.0636


# 3
47
Properties=species:S:1:pos:R:3:nbo_charge:R:1 method="wB97M-V/def2-TZVPD" multiplicity=1 charge=+1 e_above_lowest_kcal_mol=5.6 lumo_ev="-5.356 / -5.355" homo_ha="-0.3937 / -0.3937" orbital_gap_ev="5.4 / 5.4" energy_ha=-2010.28424
Ti -0.045 -0.115 0.083 1.5535
C 4.318 -2.897 -1.929 -0.2049
C 4.150 -1.699 -2.607 -0.1922
C 3.352 -0.701 -2.075 -0.2623
C 2.708 -0.904 -0.852 0.2011
C 2.877 -2.111 -0.175 -0.2461
C 3.679 -3.100 -0.714 -0.1794
********
Hvilke utfordringer hadde vi for 奪 f奪
奪pen kildekode (Henrik)
3. prosjektomfang e-valg2011
Anskaffer og tar i bruk l淡sning for
internettstemmegivning hjemmefra (Ikke
Anskaffe og innf淡re ny full valgadministrativ
Innf淡re elektronisk avkryssing i manntall i alle
Muliggj淡re e-stemmegivning i valglokaler
(internett teknologi) men kun
forh奪ndsstemmelokaler i 2011
Hvis dette g奪r bra skal Stortinget i 2012
beslutte om det blir full innf淡ring av e-valg
4. Hvilke spesielle
utfordringer har vi?
Politiske diskusjoner om dette er en
god ide
M奪 f淡lge tidsplanen
(4 奪r til neste mulighet)
Ingen rom for feil
(m奪 k奪re riktig valgvinner)
Black-box problematikk
(innsyn vs. hemmelig valg)
F奪 suksesshistorier
(e-valg har g奪tt d奪rlig i mange
5. Hvordan e-valg fikk d奪rlig rykte
Presidentvalget i Florida 2000
Bush vs Gore
Papirstemmene - tolke velgerens
F淡rte til f淡deral lovgivning
(HAVA), p奪la kommunenen e-
Overlot til markedet, ingen
f淡drale retningslinjer
(negative stemmer)
6. Hvorfor er det viktig med 奪pen kildekode
Demokratiet m奪 v脱re
Hvordan vinne tillit hvis systemet
er hemmelig?
kt sikkerhet for korrekthet
Vi skal ikke ha hemmelighold som
Vi forsvarer oss ikke mot reverse
Shannons maksime: fienden
kjenner systemet
7. Schneier:
Kerckhoffs' principle applies beyond
codes and ciphers to security
systems in general: every secret
creates a potential failure point.
Secrecy, in other words, is a prime
cause of brittlenessand therefore
something likely to make a system
prone to catastrophic collapse.
Conversely, openness provides
8. Hvordan fikk vi til 奪pen kildekode ?
Til n奪 har alle e-valgsystemer v脱rt
lukket kildekode
Ingen trodde det var mulig 奪 f奪
med alle leverand淡rer p奪 奪pen
V奪rt dilemma: nsket om 奪penhet
mot kravet om tilstrekkelig sikker
Det viste seg til slutt at kun to
leverand淡rer kunne levere
tilstrekkelig sikker l淡sning (Krypto
er ikke enkelt)
9. Spillet om lisensene
What comes next are calculated molecules, not part of the entry:
____________
Record 1
This record from the Open Molecules 2025 dataset describes a 14-piece molecular cluster, C4H36NO14 overall in a non-equilibrium geometry. The level of theory is ωB97M-V with the def2-TZVPD basis set.

Computed properties:
M: 322.3 g/mol
multiplicity: 2
energy relative to the best compared isomer or geometry (same formula, charge and spin): 60.83 kcal per mole
HOMO-LUMO gap (spin up / spin down): 2.59 / 8.09 eV
maximum force: 6.03 eV Å⁻¹

Last column: Löwdin charge in e.
Geometry (Å):
O: -1.3738 0.1792 -1.2871  -0.0785
C: -2.0739 0.4497 -0.3527  -0.3627
C: -1.3670 0.8113 0.9762  -0.3125
C: -2.0564 1.9180 1.9125  -0.2412
C: -3.3541 1.4654 2.4479  -0.1592
N: 0.0776 0.9517 0.8338  0.1571
H: -3.1355 0.2396 -0.0909  0.1016
H: -1.5764 -0.0720 1.6977  0.1353
H: -2.0997 2.9069 1.4407  0.0954
H: -1.2634 2.1169 2.7633  0.1268
H: -3.4767 1.6941 3.5725  0.0907
H: -4.3635 1.8736 2.1810  0.0814
H: -3.4011 0.3668 2.3793  0.0689
H: 0.3332 1.9201 0.5237  0.1103
H: 0.4683 0.4586 -0.0012  0.1152
H: 0.5903 0.6562 1.7328  0.1108
H: 2.4656 1.7774 -2.8094  0.0035
H: 2.9822 0.9708 -3.9840  0.0014
O: 2.8747 0.9390 -3.0690  -0.0401
H: 1.2572 -3.0184 1.4955  -0.0464
H: 0.7755 -3.7574 2.7562  0.0970
O: 0.6447 -2.9852 2.1408  -0.0247
H: 3.1763 -2.9609 -1.7124  0.0864
H: 2.6122 -1.8513 -2.4854  0.0837
O: 2.4058 -2.8385 -2.3569  -0.1039
H: -0.0180 2.0628 -3.0223  0.0321
H: -0.2569 2.7638 -4.3622  0.0180
O: 0.4195 2.5396 -3.7569  -0.0617
H: 3.1219 1.2692 0.2809  -0.0728
H: 3.7809 2.4238 -0.5900  0.0720
O: 2.9948 2.0772 -0.1219  -0.0468
H: 2.0613 2.4789 2.4787  0.0326
H: 2.1037 1.9703 3.9060  -0.0255
O: 1.6893 1.9060 3.1319  0.0080
H: 0.5297 3.9479 -1.3685  0.1383
H: 1.0204 2.3376 -1.2880  0.0504
O: 0.2188 2.9689 -1.0811  -0.1660
H: 0.2241 -4.4195 -2.7634  0.0174
H: -0.5457 -3.2555 -2.0770  0.0318
O: -0.3842 -4.2352 -2.0593  -0.0879
H: 2.7802 -0.3010 1.6275  0.0065
H: 2.5805 -1.0599 0.4016  -0.0307
O: 2.6789 -0.2554 0.7422  0.0429
H: -4.7251 -0.1698 -2.4946  0.0482
H: -3.0342 -0.5520 -2.5149  0.1375
O: -4.0257 -0.7038 -2.0302  -0.1855
H: -2.1582 -3.6098 -0.4523  0.0379
H: -3.0091 -2.7484 -1.4521  0.1357
O: -2.1156 -2.7203 -0.8329  -0.1295
H: 1.1379 -2.5978 -1.1452  0.0279
H: -0.0485 -2.0182 -0.2247  -0.0233
O: 0.7647 -1.8239 -0.6158  -0.0773
H: 0.1327 -0.5075 4.3524  0.0330
H: 0.6835 -1.4040 3.2020  -0.0132
O: 0.2763 -0.5753 3.4250  -0.0466

---

Record 2
This record from the Open Molecules 2025 dataset describes a 14-piece molecular cluster, C4H36NO16 overall in a non-equilibrium geometry. The level of theory is ωB97M-V with the def2-TZVPD basis set.

Computed properties:
M: 354.3 g/mol
multiplicity: 2
energy relative to the best compared isomer or geometry (same formula, charge and spin): 154.63 kcal per mole
HOMO-LUMO gap (spin up / spin down): 10.31 / 5.28 eV
maximum force: 12.57 eV Å⁻¹

Last column: Löwdin charge in e.
Geometry (Å):
O: -2.5282 0.3126 -1.4729  0.1458
C: -1.7821 -0.1850 -0.5542  -0.3571
C: -0.2850 0.0467 -0.8677  -0.1311
____________
Konkurranse preget dialog var
riktig anskaffelsesprosedyre
-Hvis vi klarte 奪 f奪 til 奪pen
kildekode vil alle land i fremtiden
kreve dette
Styreromsbeslutningene vi h奪pet
-det eneste var tap av mulighet 奪
konkurrere om v奪r kontrakt
10. Er systemet egentlig fri
Det er i det minste ikke noe
sp淡rsm奪l om kildekoden blir fritt
tilgjengelig for nedlastning
Men det er en begrensning p奪 hva
man kan bruke den til
Kan ikke brukes til 奪
gjennomf淡re valg utenfor Norge
Noen vil derfor mene at systemet
ikke fortjener betegnelsen
奪pen kildekode
11. 皆沿淡姻壊馨奪鉛?
Finn oss p奪: